SOJ 题目分类

SOJ1162 I-Keyboard  
SOJ1685 Chopsticks 
SOJ1679 Gangsters 
SOJ2096 Maximum Submatrix  
SOJ2111 littleken bg 
SOJ2142 Cow Exhibition  
SOJ2505 The County Fair 
SOJ2818 QQ音速  
SOJ2469 Exploring Pyramids  
SOJ1833 Base Numbers  
SOJ2009 Zeros and Ones  
SOJ2032 The Lost House  
SOJ2113 数字游戏 
SOJ2289 A decorative fence  
SOJ2494 Appleland 
SOJ2440 The days in fzk 
SOJ2494 Appleland 
SOJ2515 Ski Lift 
SOJ2718 Bookshelf  
SOJ2722 Treats for the Cows 
SOJ2726 Deck of Cards  
SOJ2729 Space Elevator  
SOJ2730 Lazy Cows  
SOJ2713 Cut the Sequence 
SOJ2768 Bomb 
SOJ2779 Find the max (I) (最大M子段和问题) 
SOJ2796 Letter Deletion 
SOJ2800 三角形  
SOJ2804 Longest Ordered Subsequence (II) 
SOJ2848 River Hopscotch(二分) 
SOJ2849 Cow Roller Coaster 
SOJ2886 Cow Walk 
SOJ2896 Alphacode 
SOJ2939 bailey's trouble 
SOJ2994 RSI 
SOJ3037 Painting the balls 
SOJ3072 Computers 
SOJ3078 windy's "K-Monotonic" 
SOJ3084 windy's cake IV 
SOJ3104 Game(注意大数运算,高精度)  
SOJ3110 k Cover of Line 
SOJ3111 k Median of Line 
SOJ3123 Telephone Wire 
SOJ3142  Unfriendly Multi Permutation 
SOJ3213 Pebbles 
SOJ3219 Cover Up 
SOJ3263 Function 
SOJ3264 Evil Game  
SOJ3339 graze2 
SOJ3341 Ski 
SOJ3352 The Baric Bovine 
SOJ3503 Banana Boxes 
SOJ3633 Matches's Game 
SOJ3636 理想的正方形 
SOJ3711  Mountain Road 
SOJ3723 Robotic Invasion 
nankai1134 Relation Ordering 
SOJ2222 Health Power 
SOJ2749 The Fewest Coins 
SOJ2785 Binary Partitions 
SOJ2930 积木城堡  
SOJ3172 Fisherman 
SOJ3300 Stockholm Coins 
SOJ3360 Buying Hay 
SOJ3531 Number Pyramids 
SOJ2089 lykoo  
SOJ2768 Bomb 
SOJ2819 Ader  
SOJ2842 The TSP problem  
SOJ3025 Artillery(状态DP) 
SOJ3088 windy's cake VIII 
SOJ3183 Fgjlwj's boxes 
SOJ3259 Counting numbers 
SOJ3262 Square Fields(二分+状态DP)  
SOJ3371 Mixed Up Cows  
SOJ3631 Shopping Offers 
SOJ 1870 Rebuilding Roads 
SOJ 2136 Apple(树形依赖背包n*C算法) 
SOJ 2514 Milk Team Select 
SOJ 2199 Apple Tree 
SOJ 3295 Treeland Exhibition 
SOJ 3635 World Cup 2010 
hdoj1561 The more, The Better  
PKU1655 Balancing Act  
PKU3107 Godfather  
PKU3345 Bribing FIPA 
PKU2378 Tree Cutting 
PKU3140 Contestants Division  
PKU3659 Cell Phone Network 
SOJ 2702 Alanna 
SOJ 2978 Tasks 
SOJ 3234 Finding Seats 
SOJ 3540  股票交易 
-------------- 斜率优化 
SOJ 3710 特别行动队 
SOJ 3734 搬家 
SOJ 3736 Lawrence of Arabia 
SOJ 1702 Cutting Sticks 
SOJ 2775 Breaking Strings 
---------------  最优化之排序 
SOJ2509 The Milk Queue 
SOJ2547 cards 
SOJ2850 Protecting the Flowers 
SOJ2957 Setting Problems 
SOJ3167 Computer 
SOJ3331 Cards(2547加强版) 
SOJ3327 Dahema's Computer(通过此题学会排序) 
SOJ3317 FGJ's Plane 
SOJ3429 Food portion sizes 
SOJ1078 BlueEyes' Schedule 
SOJ1203 Pass-Muraille 
SOJ1673 Gone Fishing  
SOJ2574 pie 
SOJ2645 Buy One Get One Free 
SOJ2701 In a Cycle 
SOJ2876 Antimonotonicity(经典模型 O(n)算法) 
SOJ3343 Tower 
SOJ1106 DWeep 
SOJ1626 square 
SOJ2061 8 puzzle  
SOJ2485 Sudoku  
SOJ1045 Sticks 
SOJ2736 Fliptile 
SOJ2771 Collecting Stones  
SOJ2715 Maze Break 
SOJ2518 Magic Cow Shoes 
SOJ2829 binary strings(双向BFS) 
SOJ3005 Dropping the stones 
SOJ3136 scu07t01的迷宫(BFS预处理 然后枚举交汇点) 
SOJ3330 Windy's Matrix(BFS) 
--------------------------------dancing link ----- 
zju 2580 
poj 3074 
poj 3076 
SOJ1826 Number Sequence  
SOJ1936 Firepersons 
SOJ2552 Number of Tilings 
SOJ2919 Matrix Power Series (学习矩阵的快速乘法从此开始) 
SOJ2920 Magic Bean  
SOJ3021 Quad Tiling 
SOJ3046 Odd Loving Bakers 
SOJ3176 E-string 
SOJ3246 Tiling a Grid With Dominoes 
SOJ3323 K-Satisfied Numbers 
SOJ3337 Wqb's Word  
SOJ1112 Repeatless Numbers(DFA+二分) 
SOJ2913 Number Substring 
SOJ2826 Apocalypse Someday 
SOJ3128 windy和水星 -- 水星数学家 1 
SOJ3182 Windy numbers 
SOJ1697 Cashier Employment 
SOJ2325 Word Transformation 
SOJ2427 Daizi's path system 
SOJ2468 Catcus 
SOJ2751 Wormholes(SPFA判断负圈回路的存在性) 
SOJ2932 道路 
SOJ3160 Clear And Present Danger 
SOJ3335 Windy's Route(最短路径的分层图思想) 
SOJ3346 Best Spot(N^3放心的写) 
SOJ3423 Revamping Trails 
SOJ1687 Intervals 
SOJ1169 Networking 
SOJ2198 Highways 
SOJ3366 Watering Hole 
SOJ3427 Dark roads 
SOJ2832 Mars city 
SOJ3535 Colorful Decoration 
HDU3062 Party 
SOJ1075 BlueEyes and Apples (II)  
SOJ1935 Electricity  
WHU145 Railway  
SOJ1183 Girls and Boys 
SOJ1186 Courses 
SOJ2035 The Tiling Problem 
SOJ2077 Machine Schedule 
SOJ2160 Optimal Milking 
SOJ2342 Rectangles(Beloved Sons 模型) 
SOJ2472 Guardian of Decency 
SOJ2681 平方数 2 
SOJ2737 Asteroids 
SOJ2764 Link-up Game 
SOJ2806 LED Display 
SOJ2958 Weird Fence 
SOJ3043 Minimum Cost 
SOJ3038 Beloved Sons(简单贪心一下) 
SOJ3453 Stock Charts 
ZOJ3265 Strange Game 
SOJ1981 Going Home 
WHU1451  Special Fish  
SOJ1187 Closest Common Ancestors 
SOJ1677 How far away 
SOJ3023 Network 
SOJ3098 Bond 
SOJ3013 tree 
SOJ3056 Average distance(树上的DFS)  
POJ 1273  Drainage Ditches 
POJ 1274  The Perfect Stall (二分图匹配) 
POJ 1698  Alice's Chance 
POJ 1459  Power Network 
POJ 2112  Optimal Milking (二分) 
POJ 2455  Secret Milking Machine (二分) 
POJ 3189  Steady Cow Assignment (枚举) 
POJ 1637  Sightseeing tour (混合图欧拉回路) 
POJ 3498  March of the Penguins (枚举汇点) 
POJ 1087  A Plug for UNIX 
POJ 1149  Pigs (构图题) 
ZOJ 2760  How Many Shortest Path (边不相交最短路的条数) 
POJ 2391  Ombrophobic Bovines (必须拆点,否则有BUG) 
WHU 1124  Football Coach (构图题) 
SGU 326   Perspective (构图题,类似于 WHU 1124) 
UVa 563   Crimewave 
UVa 820   Internet Bandwidth 
POJ 3281  Dining (构图题) 
POJ 3436  ACM Computer Factory 
POJ 2289  Jamie's Contact Groups (二分) 
SGU 438   The Glorious Karlutka River =) (按时间拆点) 
SGU 242   Student's Morning (输出一组解) 
SGU 185   Two shortest (Dijkstra 预处理,两次增广,必须用邻接阵实现,否则 MLE) 
HOJ 2816  Power Line 
POJ 2699  The Maximum Number of Strong Kings (枚举+构图) 
ZOJ 2332  Gems 
JOJ 2453  Candy (构图题) 
SOJ 2414 Leapin' Lizards 
SOJ 2835  Pick Up Points 
SOJ 3312 Stockholm Knights 
SOJ 3353 Total Flow 
SOJ2662 Playground 
SOJ3106 Dual Core CPU 
SOJ3109 Space flight 
SOJ3107 Select 
SOJ3185 Black and white 
SOJ3254 Rain and Fgj 
SOJ3134 windy和水星 -- 水星交通 
HOJ 2634  How to earn more 
ZOJ 2071  Technology Trader (找割边) 
HNU 10940 Coconuts 
ZOJ 2532  Internship (找关键割边) 
POJ 1815  Friendship (字典序最小的点割集) 
POJ 3204  Ikki's Story I - Road Reconstruction (找关键割边) 
POJ 3308  Paratroopers 
POJ 3084  Panic Room 
POJ 3469  Dual Core CPU 
ZOJ 2587  Unique Attack (最小割的唯一性判定) 
POJ 2125  Destroying The Graph (找割边) 
ZOJ 2539  Energy Minimization 
ZOJ 2930 The Worst Schedule 
TJU 2944  Mussy Paper (最大权闭合子图) 
POJ 1966  Cable TV Network (无向图点连通度) 
HDU 1565  方格取数(1) (最大点权独立集) 
HDU 1569  方格取数(2) (最大点权独立集) 
HDU 3046  Pleasant sheep and big big wolf 
POJ 2987  Firing (最大权闭合子图) 
SPOJ 839  Optimal Marks (将异或操作转化为对每一位求最小割) 
HOJ 2811  Earthquake Damage (最小点割集) 
2008 Beijing Regional Contest Problem A Destroying the bus stations ( BFS 预处理 )(
ZOJ 2676  Network Wars (参数搜索) 
POJ 3155  Hard Life (参数搜索) 
ZOJ 3241  Being a Hero 
ZOJ 2314  Reactor Cooling (无源汇可行流) 
POJ 2396  Budget (有源汇可行流) 
SGU 176   Flow Construction (有源汇最小流) 
ZOJ 3229  Shoot the Bullet (有源汇最大流) 
HDU 3157  Crazy Circuits (有源汇最小流) 
HOJ 2715  Matrix3 
HOJ 2739  The Chinese Postman Problem 
POJ 2175  Evacuation Plan (消一次负圈) 
POJ 3422  Kaka's Matrix Travels (与 Matrix3 类似) 
POJ 2516  Minimum Cost (按物品种类多次建图) 
POJ 2195  Going Home 
POJ 3762  The Bonus Salary! 
BUAA 1032 Destroying a Painting 
POJ 2400  Supervisor, Supervisee (输出所有最小权匹配) 
POJ 3680  Intervals  
HOJ 2543  Stone IV 
POJ 2135  Farm Tour 
SOJ 3186  Segments 
SOJ 2927 终极情报网 
SOJ 3634 星际竞速 
HDU 3376 Matrix Again 
SOJ2511 Moooo 
SOJ3085 windy's cake V(经典 栈与单调性的结合) 
SOJ3279 hm 与 zx 的故事系列2 
SOJ3329 Maximum Submatrix II(转化为上面两题的模型) 
SOJ2978 Tasks 
SOJ3139 Sliding Window(双端队列最经典的应用) 
SOJ3636 理想的正方形 
-------------------- --------------高级数据结构 
SOJ1862 Choice Pears 
SOJ2057 The manager's worry 
SOJ2249 Mayor's posters  
SOJ2309 In the Army Now 
SOJ2436 Picture puzzle game  
SOJ2556 Find the Permutation 
SOJ2562 The End of Corruption  
SOJ2719 Corral the Cows(线段树+二分)  
SOJ2740 Balanced Lineup  
SOJ2745 零序列  
SOJ2776 Matrix Searching 
SOJ2808 Thermal Death of the Universe 
SOJ2822 Buy Tickets  
SOJ2937 Tetris  
SOJ2938 Apple Tree(先DFS获得欧拉序列) 
SOJ2965 capitally players 
SOJ2968 Matrix(二维线段树)  
SOJ3019 Count Color  
SOJ3022 Difference Is Beautiful( RMQ+二分 经典模型) 
SOJ3086 windy's cake VI(二维线段树)  
SOJ3099 A Simple Problem with Integers  
SOJ3248 Mousetrap 
SOJ3321 Windy's Sequence II  
SOJ3370 Light Switching  
SOJ3640 Special Subsequence 
SOJ2309 In the Army Now 
SOJ2906 Ultra-QuickSort  
SOJ2431 Cows distribute food(利用归并排序求逆序数:nlogn) 
SOJ2497 Number sequence  
SOJ2559 What is the Rank?  
SOJ2728 MooFest 
SOJ3009 Stones for Amy 
SOJ3010 K-th Number  
SOJ3147 K-th number 
SOJ1824 The Suspects  
SOJ1953 key 
SOJ2245 Ubiquitous Religions  
SOJ2389 Journey to Tibet 
SOJ2438 Pet 
SOJ2490 Math teacher's test 
POJ2832 How many pairs?  
POJ2821 Auto-Calculation Machine  
SOJ2979 食物链 
SOJ3282 Kingdom of Heaven  
SOJ3417 Skyscrapers 
SOJ3032 Big String 
SOJ3035 反转序列 
----------------------------------- 字符串 
SOJ1948 sekretarka 
SOJ3045 Long Long Message 
SOJ3075 回文子串 
SOJ3296 Windy's S 
---------------------KMP&& 扩展kmp 
SOJ2652 Oulipo 
SOJ2307 String Matching 
SOJ3014 Seek the Name, Seek the Fame 
SOJ3596 Article Decryption 
SOJ3076 相同字符串 
SOJ3336 Diary 
SOJ3596 Article Decryption 
SOJ1839 Relatives(Euler函数) 
SOJ1942 Foto 
SOJ2714 Mountains (II) 
SOJ2668 C(n,k) 
SOJ2666 分解 n!  
SOJ2106 GCD & LCM Inverse  
SOJ2498 Count prime  
SOJ2238 Let it Bead(置换群-polya定理的应用) 
SOJ2924 完美交换(置换群) 
SOJ2638 Cow Sorting(置换群) 
SOJ 3578 H1N1's Problem 
SOJ3191 Free square 
SOJ3082 windy's cake II 
SOJ3502 The Almost Lucky Numbers 
SOJ3547 Coprime 
SOJ1128 控 制 棋 
SOJ1866 Games(诡异的博弈) 
SOJ2197 A Funny Game 
SOJ2188 A multiplication game 
SOJ2403 Black and white chess 
SOJ2477 Simple Game 
SOJ2687 草稿纸 2 
SOJ2688 草稿纸 3 
SOJ2836 Pick Up Points II 
SOJ2845 Jange 
SOJ2922 A New Tetris Game 
SOJ2993 Nim 
[These data records were left in the entry by mistake]
~~~
(1)
BaTaSb2Te | PBE | relaxed

```
BaTaSb2Te
1.0
-4.6683 0.3941 3.6765
-0.0695 -5.9296 0.5475
3.7834 0.3953 4.7617
Sb Te Ba Ta
2 1 1 1
Direct
0.0000 0.5000 0.0000 Sb
0.5000 0.0000 0.0000 Sb
0.0000 0.0000 0.5000 Te
0.0000 0.0000 0.0000 Ba
0.5000 0.5000 0.5000 Ta
```

Calculated values
* Fermi-level density of states: 12.3 states/eV/f.u.
* volume: 216 Å³/cell
* size of the total moment: 0.000 μB/f.u.
* space-group type: P4/mmm
* E above lowest polymorph: 11.34 eV per formula unit


(2)
Tb2YSnN4 | PBE | relaxed

```
Tb2YSnN4
1.0
3.4868 0.0000 0.0000
0.0000 6.0367 0.0969
0.0000 -2.1210 5.6405
Tb Y Sn N
2 1 1 4
Direct
0.5000 0.0000 0.5000 Tb
0.0000 0.5000 0.5000 Tb
0.5000 0.5000 0.0000 Y
0.0000 0.0000 0.0000 Sn
0.5000 0.2557 0.2550 N
0.5000 0.7443 0.7450 N
0.0000 0.2549 0.7461 N
0.0000 0.7451 0.2539 N
```

Calculated values
* Fermi-level density of states: 4.5 states/eV/f.u.
* volume: 119 Å³/cell
* E_tot: -7.685 eV/atom
* size of the total moment: 0.000 μB/f.u.
* space-group type: P2/m


(3)
K5Rb6Na | PBE | relaxed

```
K5Rb6Na
1.0
6.9191 -0.0347 -1.9583
-4.9664 10.8481 -4.5502
-0.1241 -0.4891 12.7592
Na K Rb
1 5 6
Direct
0.0000 0.0000 0.0000 Na
0.5000 0.1812 0.8188 K
0.0000 0.3444 0.6556 K
0.5000 0.5000 0.5000 K
0.0000 0.6556 0.3444 K
0.5000 0.8188 0.1812 K
0.2325 0.0718 0.3932 Rb
0.7675 0.6068 0.9282 Rb
0.7152 0.2164 0.2164 Rb
0.2848 0.7836 0.7836 Rb
0.2325 0.3932 0.0718 Rb
0.7675 0.9282 0.6068 Rb
```

Calculated values
* formation energy from the elements: 0.17 eV per formula unit
* Fermi-level density of states: 8.6 states/eV/f.u.
* volume: 933 Å³/cell
* size of the total moment: 0.000 μB/f.u.
* space-group type: C2/m


(4)
RbGd2Cl7 | PBE | relaxed

```
RbGd2Cl7
1.0
-4.5816 -5.3236 -0.6552
9.2413 -8.3551 3.2641
-3.4452 1.3417 13.1886
Rb Gd Cl
4 8 28
Direct
0.2500 0.8024 0.0341 Rb
0.7500 0.1976 0.9659 Rb
0.7500 0.3024 0.4659 Rb
0.2500 0.6976 0.5341 Rb
0.2500 0.4600 0.2383 Gd
0.7500 0.5400 0.7617 Gd
0.7500 0.9600 0.2617 Gd
0.2500 0.0400 0.7383 Gd
0.2500 0.1570 0.2469 Gd
0.7500 0.8430 0.7531 Gd
0.7500 0.6570 0.2531 Gd
0.2500 0.3430 0.7469 Gd
0.0101 0.3070 0.1729 Cl
0.9899 0.6930 0.8271 Cl
0.9899 0.8070 0.3271 Cl
0.5101 0.6930 0.8271 Cl
0.0101 0.1930 0.6729 Cl
0.4899 0.3070 0.1729 Cl
0.4899 0.1930 0.6729 Cl
0.5101 0.8070 0.3271 Cl
0.0108 0.5787 0.1256 Cl
0.9892 0.4213 0.8744 Cl
0.9892 0.0787 0.3744 Cl
0.5108 0.4213 0.8744 Cl
0.0108 0.9213 0.6256 Cl
0.4892 0.5787 0.1256 Cl
0.4892 0.9213 0.6256 Cl
0.5108 0.0787 0.3744 Cl
0.0093 0.0394 0.1321 Cl
0.9907 0.9606 0.8679 Cl
0.9907 0.5394 0.3679 Cl
0.5093 0.9606 0.8679 Cl
0.0093 0.4606 0.6321 Cl
0.4907 0.0394 0.1321 Cl
0.4907 0.4606 0.6321 Cl
0.5093 0.5394 0.3679 Cl
0.2500 0.3109 0.3869 Cl
0.7500 0.6891 0.6131 Cl
0.7500 0.8109 0.1131 Cl
0.2500 0.1891 0.8869 Cl
```

Calculated values
* Fermi-level density of states: 0.0 states/eV/f.u.
* volume: 1244 Å³/cell
* E_tot: -6.461 eV/atom
* size of the total moment: 13.930 μB/f.u.
* space-group type: Pnma


(5)
LiUPb2Se5 | PBE | relaxed

```
LiUPb2Se5
1.0
~~~
SOJ3066 John 
SOJ3132 windy和水星 -- 水星游戏 1 
SOJ3133 windy和水星 -- 水星游戏 2 
SOJ3174 Good game 
SOJ3307 Stockholm Game 
SOJ3446 Nim or not Nim 
SOJ3461 Nim-k 
SOJ3463 Ordered Nim 
SOJ3468 Flip Coins 
SOJ3548 game 
SOJ3584 Baihacker and Oml 
1016 Tree Summing  
1038 Trees on the level  
1047 FORCAL  
1663 (Your)((Term)((Project)))  
1672 Trees Made to Order  
Materials data, kept here for reference >
+++
# 1
First-principles (PBE) data for a relaxed structure of NbCoN2Cl, as listed in the Alexandria database.

Values from the calculation:
The value obtained for the energy above the most stable polymorph in this dataset is 0.0 kJ/mol of atoms. The density of states at the Fermi level is 0.34 states/eV/atom.

Cell lengths 3.834, 3.834, 6.770 Å; angles 87.20, 87.83, 90.00 degrees
Atoms (fractional coordinates):
Cl 0.159 0.093 0.629
Nb 0.136 0.063 0.970
Co 0.629 0.554 0.069
N 0.129 0.554 0.076
N 0.629 0.054 0.076

=====

# 2
First-principles (PBE) data for a relaxed structure of SmAg3F6, as listed in the Alexandria database.

Values from the calculation:
The value obtained for the total energy is -4.638 eV per atom.

Cell lengths 3.949, 6.988, 6.988 Å; angles 113.57, 90.00, 90.00 degrees
Atoms (fractional coordinates):
F 0.000 0.868 0.634
F 0.000 0.132 0.366
F 0.000 0.634 0.868
F 0.000 0.366 0.132
F 0.500 0.611 0.389
F 0.500 0.389 0.611
Ag 0.500 0.000 0.500
Ag 0.000 0.000 0.000
Ag 0.500 0.500 0.000
Sm 0.000 0.500 0.500

=====

| no. | magnetization (μB/f.u.) |
| --- | --- |
| 1 | 1.2 |
| 2 | 0.0 |


No. 1
A plane-wave DFT calculation with PBE was carried out for an optimized crystal structure of KZr2Co.

Cell lengths 2.8981, 5.6755, 6.2004 Å; angles 61.60, 90.00, 90.00 degrees
Site moments in Bohr magnetons follow the coordinates.
Atoms (fractional coordinates):
Co (0.5000, 0.5000, 0.5000)  1.61
K (0.0000, 0.0000, 0.5000)  -0.02
Zr (0.5000, 0.5000, 0.0000)  -0.06
Zr (0.0000, 0.0000, 0.0000)  -0.04

ΔE_f in eV/atom: 0.97
Magnetization in μB per cell: 1.3
Space group: P2/m, No. 10
DOS(E_F) in states/eV per cell: 4.80
ΔE to the lowest computed polymorph in meV/atom: 708

---

No. 2
A plane-wave DFT calculation with PBE was carried out for an optimized crystal structure of SmHo3Tl4.

Cell lengths 5.4032, 7.5294, 10.8102 Å; angles 90.00, 90.00, 90.00 degrees
Atoms (fractional coordinates):
Ho (0.4991, 0.0000, 0.7500)
Tl (0.9991, 0.2458, 0.7500)
Ho (0.5007, 0.5000, 0.2500)
Ho (0.0000, 0.0000, 0.5000)
Tl (0.5000, 0.7542, 0.5000)
Ho (0.4993, 0.5000, 0.7500)
Tl (0.5000, 0.7542, 0.0000)
Tl (0.0009, 0.2458, 0.2500)
Ho (0.5009, 0.0000, 0.2500)
Tl (0.9991, 0.7542, 0.7500)
Tl (0.5000, 0.2458, 0.0000)
Tl (0.5000, 0.2458, 0.5000)
Ho (0.0000, 0.0000, 0.0000)
Sm (0.0000, 0.5000, 0.5000)
Tl (0.0009, 0.7542, 0.2500)
Sm (0.0000, 0.5000, 0.0000)

ΔE_f in eV/atom: -0.34
Magnetization in μB per cell: 0.0
Space group: Pmma, No. 51
DOS(E_F) in states/eV per cell: 12.31
ΔE to the lowest computed polymorph in meV/atom: 0

---

No. 3
A plane-wave DFT calculation with PBE was carried out for an optimized crystal structure of LaFe5.

Cell lengths 5.0486, 5.0486, 5.0486 Å; angles 60.00, 60.00, 60.00 degrees
Site moments in Bohr magnetons follow the coordinates.
Atoms (fractional coordinates):
Fe (0.3761, 0.8716, 0.3761)  2.49
Fe (0.3761, 0.3761, 0.8716)  2.49
Fe (0.8716, 0.3761, 0.3761)  2.49
Fe (0.3761, 0.3761, 0.3761)  2.49
Fe (0.7500, 0.7500, 0.7500)  2.99
+++
End of the materials data >
1795 HTML  
1864 Binary Trees' Order  
1901 Boolean Expresions  
2230 Calculator  
2441 24 dot  
2570 算法复杂度  
2697 Expression  
2792 Syntax Tree  
3089 windy's cake IX  
2334 Decoding 
1978: Zipper 
2883 Tautology 
3489 Lambda-Calculus 
3490 Type Derivation 
1695 Lazy Math Instructor 
1788 Friends 
2352 Molecular Formula 
2004: SHEET 
2255: Any fool can do it 
2457 brainfck 
3546 Calculator 
1646 乘方表达式显示 
SOJ1138 Wall 
SOJ1102 Picnic 
